Traffic (2000)

Directed by Steven Soderbergh
Cast: Benicio Del Toro, Michael Douglas, Don Cheadle, Catherine Zeta-Jones, Erika Christensen, Luis Guzman, Jacob Vargas, Dennis Quaid, Amy Irving, Topher Grace, Miguel Ferrer, Steven Bauer, Clifton Collins Jr., James Brolin, Benjamin Bratt, Majandra Delfino, Corey Spears, Peter Reigert, Marisol Pedilla Sanchez, Tomas Milian, Albert Finney, D.W. Moffett, Joel Torres.
Between two parts of the piece: crystal structures =
'''
Record 1
The following is a PBE-GGA calculation of a geometry-optimized YPtCl2 structure, from the Alexandria database.

Output
Total DFT energy (no corrections) = -19.69 eV per cell
Spin magnetization = 0.00 μB/cell
Excess energy over the best structure of this formula in the dataset = 285.5 meV/atom

Cell lengths 5.398, 5.398, 5.398 Å; angles 134.24, 134.24, 66.72 degrees
Fractional positions:
Y  0.750  0.250  0.500
Pt  0.500  0.500  0.000
Cl  0.000  0.000  0.000
Cl  0.250  0.750  0.500

---

Record 2
The following is a PBE-GGA calculation of a geometry-optimized YPt2Cl structure, from the Alexandria database.

Output
Total DFT energy (no corrections) = -22.88 eV per cell
Spin magnetization = 0.00 μB/cell
Excess energy over the best structure of this formula in the dataset = 347.5 meV/atom

Cell lengths 4.843, 4.843, 4.843 Å; angles 125.09, 117.92, 87.53 degrees
Fractional positions:
Cl  0.784  0.284  0.500
Pt  0.999  0.999  0.000
Pt  0.224  0.724  0.500
Y  0.494  0.494  0.000

---

Record 3
The following is a PBE-GGA calculation of a geometry-optimized Y4PtCl structure, from the Alexandria database.

Output
Total DFT energy (no corrections) = -31.58 eV per cell
Spin magnetization = 0.00 μB/cell

Cell lengths 6.208, 6.208, 6.208 Å; angles 60.00, 60.00, 60.00 degrees
Fractional positions:
Y  0.879  0.374  0.374
Y  0.374  0.374  0.879
Y  0.374  0.879  0.374
Y  0.374  0.374  0.374
Pt  0.000  0.000  0.000
Cl  0.750  0.750  0.750

---

Record 4
The following is a PBE-GGA calculation of a geometry-optimized YPt2Cl structure, from the Alexandria database.

Output
Total DFT energy (no corrections) = -21.85 eV per cell
Spin magnetization = 0.00 μB/cell
Excess energy over the best structure of this formula in the dataset = 604.0 meV/atom

Cell lengths 3.174, 3.174, 7.857 Å; angles 90.00, 90.00, 90.07 degrees
Fractional positions:
Cl  0.500  0.500  0.750
Pt  0.000  0.000  0.005
Pt  0.000  0.000  0.495
Y  0.500  0.500  0.250

---

Record 5
The following is a PBE-GGA calculation of a geometry-optimized YPt2Cl structure, from the Alexandria database.

Output
Total DFT energy (no corrections) = -23.63 eV per cell
Spin magnetization = 0.00 μB/cell
Excess energy over the best structure of this formula in the dataset = 158.4 meV/atom

Cell lengths 3.568, 3.589, 7.895 Å; angles 75.83, 90.00, 90.00 degrees
Fractional positions:
Cl  0.500  0.964  0.673
Pt  0.000  0.756  0.132
Pt  0.500  0.206  0.226
Y  0.000  0.574  0.469

---

Record 6
The following is a PBE-GGA calculation of a geometry-optimized YPtCl2 structure, from the Alexandria database.

Output
Total DFT energy (no corrections) = -19.47 eV per cell
Spin magnetization = 0.00 μB/cell
Excess energy over the best structure of this formula in the dataset = 341.4 meV/atom

Cell lengths 3.882, 4.843, 4.224 Å; angles 90.00, 90.00, 90.00 degrees
Fractional positions:
Y  0.000  0.500  0.500
Pt  0.500  0.000  0.500
Cl  0.000  0.000  0.000
Cl  0.500  0.500  0.000

* * * * *

No. 1
'''
2000 147 minutes
Rated: (for profanity, violence, extreme drug use, sex, and nudity).
Reviewed by Dustin Putman, January 6, 2001.
A sprawling, candid mosaic of the controversial, bitter war on drugs in the United States, Steven Soderbergh's "Traffic," loosely based on the 1989 BBC miniseries, "Traffik," offers no easy answers, nor does he attempt to sugarcoat the bleak topic into something that can ever change in today's society. Presenting a wide array of characters from different social standings, and showing how drugs have the power to impact everyone's life in one way or another, the film is truly spellbinding and often thought-provoking from its beginning to the end, 2 1/2-hours later.
Filmed in alternate, cleverly chosen hues, depending on where the scene is set and which storyline we are involved in, director Soderbergh (who also acted as the cameraman, under the pseudonym Peter Andrews) adapts a "you-are-there" style of filmmaking, with shaky, hand-held shots, and a screenplay, expertly developed by Stephen Gaghan, that is never anything less than convincing. The enormous, flawlessly-chosen cast, with each performance pitch-perfect, work as a unit in order to bring their roles to life, aiding in the entire picture's almost frightening, harsh realism. And Steven Soderbergh (who had great luck earlier in the year with the more mainstream, yet inferior, "Erin Brockovich") joins Robert Altman (1975's "Nashville") and Paul Thomas Anderson (1999's "Magnolia") as one of the only contemporary filmmakers to successfully make an ensemble film with such an ambitious, epic scope.
The first subplot is set in Tijuana, with Javier Rodriguez (Benecio Del Toro) and Manolo Sanchez (Jacob Vargas) two cops out to bust a planned cocaine transfer in the middle of the desert. Their plan goes awry when Army General Salazar (Tomas Milian) intercepts, later employing Javier and Manolo to find and capture hired assassin Francisco Flores (Clifton Collins Jr.), who is, in turn, linked to wealthy drug dealer Carlos Ayala (Steven Bauer).
Living in San Diego, California, Carlos is arrested and handcuffed, much to the dismay of his pampered wife, Helena (Catherine Zeta-Jones). Helena, who is six months pregnant with her second child, is clueless as to why her husband has been taken to prison until she is clued in by her defense lawyer Arnie Metzger (Dennis Quaid) on why they, in fact, have so much money. Desperate to get Carlos off the hook, and with her son in danger if she doesn't come up with $3-million, Helena finds herself taking over her husband's illegal business in an attempt to return everything to the way it was.
Meanwhile, Ohio Supreme Court Justice Robert Wakefield (Michael Douglas) is appointed Drug Czar for Washington, D.C., which takes him away from his Cincinatti-based family for long stretches of time. As Robert prepares to grasp the U.S.'s drug problems by the throat, he has no idea that his 16-year-old daughter, Caroline (Erika Christensen), a straight-A honor student, has been introduced by her prep school friends to freebasing heroin, and is slowly wavering out of control.
In the style of the aforementioned "Nashville" and "Magnolia," there are no main characters in "Traffic," nor are there any outright heroes or villains. The movie features, not one, but many different plotlines, each of which evolves as things do in real life, rather than the way they are expected to by the viewer. And every actor stunningly supports the next as they portray flawed individuals who have, in some way, become involved with today's distressing drug culture.
The performances are first-rate across the board, any one of which is more than worthy of notice. Benicio Del Toro (2000's "The Way of the Gun") is almost always the standout feature of any movie in which his presence graces, and he is no exception here. As the inherently honest Javier, Del Toro steals the show whenever he appears, and proves what an extraordinary physical aura he gives off, reminiscent of Russell Crowe or Brad Pitt. It seems Del Toro is almost too big of a star to even fit on camera, let alone in any movie that is nothing less than equal to his talents.
As DEA agents Montel Gordon and Ray Castro, whose sting operation of drug dealer Eduardo Ruiz (Miguel Ferrer) leads them to the arrest of Carlos Ayala, Don Cheadle (1997's "Boogie Nights") and Luis Guzman ("Magnolia") develop a close-relationed camaraderie that acts as one of the major emotional centers of the whole picture. Cheadle is especially outstanding in a truly likable turn.
Aside from being a rapturous beauty with a definite skill at line-reading, a very-much-pregnant Catherine Zeta-Jones (1999's "Entrapment") unearths herself as a stirring actress, bringing a palpable grittiness and poignance to her portrayal of a woman who finds herself in the most dire of circumstances, and will do anything under her will to save her gradually deteriorating family life.
In the most effective of the subplots, Michael Douglas (2000's "Wonder Boys") underplays to ultimate perfection his role as Robert Wakefield, a man passionate about making a difference concerning today's drug problems, yet too naive and focused on his work to realize he has an addict living within the walls of his own house. Lending fine support in one of the strongest minor roles, Amy Irving (1976's "Carrie") is quietly effective as Robert's lonely wife, Barbara, who blames herself when their daughter's life spins out of control.
Crystal structures, kept here for reference
=====
{
  "formula": "Cu2AgBr",
  "functional": "SCAN",
  "state": "single point on PBEsol structure",
  "cell": [[1.643, 0.949, 7.110], [-1.643, 0.949, 7.110], [0.000, -1.897, 7.110]],
  "species": ["Cu", "Cu", "Ag", "Br"],
  "frac_coords": [[0.250, 0.250, 0.250], [0.750, 0.750, 0.750], [0.000, 0.000, 0.000], [0.500, 0.500, 0.500]],
  "energy_ha_per_atom": -0.7354,
  "sg": "No. 166",
  "magnetic_moment_mub_per_fu": 0.0,
  "polymorph_energy_ev_per_fu": 0.316,
  "raw_formation_energy_ev_per_atom": 0.29
}

{
  "formula": "CuAg3Br",
  "functional": "SCAN",
  "state": "single point on PBEsol structure",
  "cell": [[4.765, 0.000, 0.000], [0.000, 4.765, 0.000], [0.000, 0.000, 4.765]],
  "species": ["Cu", "Ag", "Ag", "Ag", "Br"],
  "frac_coords": [[0.000, 0.000, 0.000], [0.000, 0.000, 0.500], [0.000, 0.500, 0.000], [0.500, 0.000, 0.000], [0.500, 0.500, 0.500]],
  "energy_ha_per_atom": -0.9279,
  "sg": "No. 221",
  "magnetic_moment_mub_per_fu": 0.0,
  "raw_formation_energy_ev_per_atom": 0.50
}

{
  "formula": "CuAgBr2",
  "functional": "SCAN",
  "state": "single point on PBEsol structure",
  "cell": [[-2.961, 2.961, 5.691], [2.961, -2.961, 5.691], [2.961, 2.961, -5.691]],
  "species": ["Cu", "Cu", "Ag", "Ag", "Br", "Br", "Br", "Br"],
  "frac_coords": [[0.000, 0.000, 0.000], [0.750, 0.250, 0.500], [0.250, 0.750, 0.500], [0.500, 0.500, 0.000], [0.090, 0.625, 0.965], [0.375, 0.340, 0.465], [0.660, 0.125, 0.035], [0.875, 0.910, 0.535]],
  "energy_ha_per_atom": -0.7967,
  "sg": "No. 122",
  "magnetic_moment_mub_per_fu": 0.0,
  "polymorph_energy_ev_per_fu": 0.000,
  "raw_formation_energy_ev_per_atom": -0.31
}

{
  "formula": "Cu2AgBr",
  "functional": "SCAN",
  "state": "single point on PBEsol structure",
  "cell": [[1.854, 1.071, 5.919], [-1.854, 1.071, 5.919], [0.000, -2.141, 5.919]],
  "species": ["Cu", "Cu", "Ag", "Br"],
  "frac_coords": [[0.000, 0.000, 0.000], [0.276, 0.276, 0.276], [0.738, 0.738, 0.738], [0.524, 0.524, 0.524]],
  "energy_ha_per_atom": -0.7383,
  "sg": "No. 160",
  "magnetic_moment_mub_per_fu": 0.0,
  "polymorph_energy_ev_per_fu": 0.000,
  "raw_formation_energy_ev_per_atom": 0.22
}

{
  "formula": "CuAgBr2",
  "functional": "SCAN",
  "state": "single point on PBEsol structure",
  "cell": [[4.165, 0.000, 0.000], [0.000, 3.907, 0.000], [-0.104, 0.000, 5.755]],
  "species": ["Cu", "Ag", "Br", "Br"],
  "frac_coords": [[0.000, 0.000, 0.000], [0.846, 0.500, 0.314], [0.362, 0.000, 0.317], [0.839, 0.500, 0.794]],
  "energy_ha_per_atom": -0.7967,
  "sg": "No. 6",
  "magnetic_moment_mub_per_fu": 0.0,
  "polymorph_energy_ev_per_fu": 0.003,
  "raw_formation_energy_ev_per_atom": -0.31
}

{
  "formula": "Cu2AgBr",
  "functional": "SCAN",
  "state": "single point on PBEsol structure",
  "cell": [[3.469, 0.000, 0.000], [0.000, 4.235, 0.000], [0.000, 0.000, 4.248]],
  "species": ["Cu", "Cu", "Ag", "Br"],
  "frac_coords": [[0.000, 0.000, 0.000], [0.000, 0.500, 0.500], [0.500, 0.000, 0.500], [0.500, 0.500, 0.000]],
  "energy_ha_per_atom": -0.7312,
=====
Finally, newcomer Erika Christensen, as Robert's teenage daughter, Caroline, makes an unforgettable debut with the most heartbreaking character in the film. In the early scenes, which show Caroline recreationally taking drugs with her pals from school, including Topher Grace (TV's "That '70s Show") and Majandra Delfino (TV's "Roswell"), there is an accuracy present that rarely is achieved in the world of film. The sequence where Caroline is first introduced to heroin, which is followed by a single tear dropping down her cheek as she exhales from freebasing for the first time, is one of the most haunting images I've ever seen depicted on film. Christensen, like Soderbergh's treatment of this portion of the film, injects Caroline with such a tragic, raw power that it is often almost too difficult to watch.
Director Soderbergh has made his share of fine films in the past, not the least of being his acclaimed 1989 breakthrough, "Sex, Lies & Videotape," but "Traffic" is the very first of his efforts that could easily be considered a masterpiece. Always involving, always intelligent, and never coy about its high aspirations, Soderbergh wants each viewer to take something a little different away from the film, not necessarily caring what that one thing might be as long as he's sure it won't soon be forgotten. A grand entertainment, "Traffic" is one of the best Hollywood productions to come out of the pipeline in years, and its final statement is one of unshakable and disturbing finality. The drug culture in the United States, states Soderbergh, is a war that can most certainly be fought, but one that is never likely to be won.
©2001 by Dustin Putman